Understanding spatiotemporal GPCR signalling in astrocytes using designer receptors and microfluidic technology

Lead Research Organisation: University of Nottingham
Department Name: School of Life Sciences


Astrocytes are multifunctional CNS glial cells, regulating neurotransmitter uptake and metabolic partitioning, actively signalling to neurons and vasculature via gliotransmission and undergoing phenotypic changes (reactive gliosis) in response to injury. The extensive astrocyte G protein coupled receptor (GPCR) repertoire has been implicated in neuron-astrocyte communication, metabolic control and the transition to a reactive state. Targeting astrocytic GPCRs is therefore a feasible approach to inhibit gliosis and other forms of astrocyte dysfunction during pathogenesis of many neurodegenerative diseases. However GPCR signalling is increasingly complex, involving ordered recruitment of G protein, arrestin and other effectors to determine particular functional outcomes. Crucially these mechanisms depend on temporal organisation conferred by kinetics of the stimulus, its nature (e.g. orthosteric versus allosteric ligand) and the specific signalling properties of the receptor subtype targeted. Thus we need approaches to isolate astrocytic signalling in response to particular ligand-receptor combinations - from a backdrop of many receptors for a particular neurotransmitter. Second, we should study such behaviours following delivery of agonists and other ligands in a precisely controlled manner - for example to reflect of the kinetics of physiological stimuli rather than traditional equilibrium measurements.

This project will make use of two novel technologies to address these aims. It will first employ designer receptors (DREADDs) based on the Gq coupled muscarinic receptor family (MR), selectively activated by a synthetic ligand (clozapine-N-oxide), rather than the endogenous neurotransmitter acetylcholine. The student will characterise the pharmacology of these receptors to MR agonists, antagonists and allosteric modulators using model cell lines (transfected CHO cells) and routine signalling assays. In addition, using novel MR fluorescent ligands, ligand binding kinetics will be investigated by establishment of TR-FRET competition association methods. These studies will be complemented by single cell calcium imaging studies in DREADD transfected astrocytes to relate the kinetic properties of the ligand (e.g. its dissociation rate) to the resultant calcium response profile. In parallel, the student will develop our in house microfluidics technology to deliver controlled patterns of DREADD ligand stimulus to transfected CHO and astrocyte cell cultures - monitoring the calcium response profile or fluorescent ligand binding as the concentration of agonist and competing drug (antagonist, allosteric modulator) is varied in real time with microsecond precision. These twin strands will combine to provide an increased understanding of how the dynamics of ligand-GPCR interaction drive spatiotemporal signalling in both model cell systems and astrocytes. It will also demonstrate the central role of kinetic properties of muscarinic ligands, under consideration as CNS therapeutics, as determinants of their behaviour in a dynamic neurotransmitter environment.

Studentship Projects

- - -
[1]
{"formula": "C3H7N4", "method": "ωB97M-V/def2-TZVPD", "species": ["C", "C", "N", "N", "C", "N", "N", "H", "H", "H", "H", "H", "H", "H"], "xyz": [[-0.990, -0.533, 1.191], [-0.027, -1.204, 0.214], [1.213, -0.471, -0.099], [1.510, 0.619, -0.671], [0.840, 1.586, -1.253], [-0.445, 1.648, -1.184], [-1.524, 1.551, -0.918], [-1.677, 0.080, 0.465], [-0.394, 0.031, 1.914], [-1.534, -1.186, 1.785], [-0.638, -1.315, -0.626], [0.288, -2.252, 0.525], [1.979, -0.797, 0.494], [1.400, 2.242, -1.836]], "lowdin_charge": [-0.06, -0.18, 0.04, 0.12, -0.12, 0.07, 0.37, 0.07, 0.09, 0.06, 0.09, 0.16, 0.18, 0.13], "fmax_ha_per_bohr": 0.0868, "total_charge": 1, "smiles": "CCN/N=C\\[N+]#N", "lumo_energy_ev": -5.9, "e_above_lowest_kj_mol": 432.34, "energy_ev": -9174.036, "homo_energy_ev": -14.786}

[2]
{"formula": "C3H7N4O", "method": "ωB97M-V/def2-TZVPD", "species": ["C", "C", "C", "N", "N", "N", "N", "O", "H", "H", "H", "H", "H", "H", "H"], "xyz": [[1.126, 1.262, 0.388], [0.051, -1.220, -0.044], [1.892, 0.220, 0.079], [1.386, -1.089, -0.083], [-0.762, -0.260, 0.181], [-2.883, 0.624, -0.375], [-2.112, -0.284, 0.366], [3.241, 0.420, -0.126], [1.093, 2.296, 0.794], [-0.224, -2.307, -0.038], [2.063, -1.704, -0.740], [-2.237, 1.002, -0.984], [-3.598, 0.170, -0.963], [-2.521, -0.397, 1.270], [3.487, 1.265, 0.276]], "lowdin_charge": [0.26, -0.14, -0.44, 0.11, 0.08, 0.09, -0.03, 0.08, 0.09, 0.18, 0.25, 0.06, 0.12, 0.16, 0.13], "fmax_ha_per_bohr": 0.0707, "total_charge": 1, "lumo_energy_ev": [-6.1, -4.5], "e_above_lowest_kj_mol": 629.99, "energy_ev": -11219.449, "homo_energy_ev": [-12.713, -13.308]}

[3]
{"formula": "C3H7N4O", "method": "ωB97M-V/def2-TZVPD", "species": ["C", "C", "C", "N", "N", "N", "N", "O", "H", "H", "H", "H", "H", "H", "H"], "xyz": [[0.861, 1.312, -0.318], [-2.670, -0.368, -0.204], [2.379, -0.261, -0.081], [2.005, 0.922, -0.736], [0.340, 0.425, 0.632], [-1.432, -0.703, -0.511], [1.221, -0.433, 0.832], [-2.899, 0.467, 0.768], [0.399, 2.169, -0.778], [-3.657, -0.615, -0.625], [2.629, -1.139, -0.724], [3.262, -0.032, 0.641], [-1.397, -1.062, -1.455], [-1.970, 0.675, 1.180], [0.927, -1.358, 1.381]], "lowdin_charge": [-0.10, -0.30, -0.13, 0.13, 0.10, 0.07, 0.05, 0.06, 0.14, 0.15, 0.17, 0.20, 0.06, 0.15, 0.26], "fmax_ha_per_bohr": 0.0665, "total_charge": 1, "lumo_energy_ev": [-6.3, -6.3], "e_above_lowest_kj_mol": 354.87, "energy_ev": -11222.300, "homo_energy_ev": [-14.047, -14.046]}

[4]
- - -

Project Reference Relationship Related To Start End Student Name
BB/M008770/1 30/09/2015 31/03/2024
1644276 Studentship BB/M008770/1 30/09/2015 29/09/2019
Description I have now characterised the designer receptor (DREADD) of muscarinic M1. DREADD receptors have been altered to stop the normal ligand binding (ACh) and rather a bioloigcally inert substance (CNO) now bindings. This allows for a system in which there is less non-specific binding and when the cell reacts to CNO, we know that the signalling must only be through the M1 pathway. I have also tested allosteric modulators on this system. Allosteric modulators are drugs which do not bind at the site of the receptor as ACh or CNO would, but they bind the receptor and this alters how ligands signal here. We have found that there is increased M1 signalling with the drug BQCA. We are now going to test this using fluorescent ligands and use competition binding to answer the kinetics of these drugs binding the M1 receptor. I am testing the clozapine derivatives on non-transfected astrocytes as a control in both the calcium imaging assay and stellation.
Exploitation Route All together these results have answered novel questions of receptor-ligand interactions within a temporal and spatial manner and in future work I will delineate how this effects are encoded by cells, and the link to diseases especially using the astrocytes. Ligand occupancy is a hot topic at the moment and there is interest in how this results in different therapeutic outcomes which will have a large societal impact. In vitro studies like mine, can be built on in the drug discovery process and will give novel tools to the science world with DREADD receptors, allosteric modulators and the microfluidic system to carry on with this such research in a highly specific and targeted manner.
Sectors Healthcare

Pharmaceuticals and Medical Biotechnology

URL http://molpharm.aspetjournals.org/content/molpharm/83/2/521.full.pdf?with-ds=yes
Description My research focuses on looking at the spatiotemporal patterns of ligand-receptor binding and how these aspects alter cell signalling pathways. There is a strong pharmacological link to this project, which means that current and future therapeutics (and the process in which these are made) will benefit from increased knowledge of this area. Improved understanding of this area means that patients may be able to benefit from drugs which have improved design properties, therefore addressing an illness more effectively with less side effects. The links to health and disease from the cellular based project I am undertaking means that there is certainly scope for a large social impact in the future. New cellular tools (such as designer-receptors/optogenetic receptors) will also encourage the use of the three Rs of animal work that is encouraged by the government and ethics groups (as discussed in Anticipated Outputs) due to more specific ligand-receptor binding with fewer side-effects expected. I am also currently using a more novel tool (microfluidic setup) to investigate the kinetics of cell signalling. Once fully characterised a microfluidic setup will have wide-ranging effects on kinetic/cell signalling scientists and how they can add a drug to cells, and expand the questions which are answered within labs, especially involving the non-equilibrium phase of ligand-receptor interactions which is a hot topic at the moment.
First Year Of Impact 2016
Sector Healthcare,Pharmaceuticals and Medical Biotechnology
Impact Types Societal


Policy & public services

**Someone pasted molecular data at this point:**
┌──
This record from the OMol25 dataset describes one molecule with the formula C28H33N3O3S in a non-equilibrium geometry. The level of theory is ωB97M-V/def2-TZVPD.

The frontier orbital gap comes out at 8.904 eV. Its structure (SMILES) is CCCCN(C(=O)c1cccc(S(=O)(=O)N2CCN(Cc3ccccc3)CC2)c1)c1ccccc1. As for the relative energy (zero: lowest compared OMol25 entry of this formula, charge and spin): 20.34 kcal/mol.

Structure (XYZ):
```
68
C28H33N3O3S ωB97M-V/def2-TZVPD
S 1.32429 1.49825 -1.25162
O 2.18808 2.62063 -1.46825
O 1.54256 0.70068 -0.07391
O -4.14836 2.75038 1.43608
N 1.32218 0.60059 -2.67291
N 2.75251 -1.86242 -2.62337
N -3.23841 0.69873 1.68260
C 1.49365 -1.74117 -1.90698
C 3.46472 -0.59596 -2.60630
C -3.90256 0.55471 2.97145
C -1.37675 -2.66836 0.02574
C 4.01472 -2.88322 -0.72857
C 5.21395 -2.25788 -0.40961
C -5.17133 1.56024 5.62369
C -1.16492 1.75325 -0.14740
C -3.01694 2.81830 -1.24150
C -0.89064 2.70001 -2.34718
C -2.59704 -0.42210 1.12264
C -2.25102 -1.91045 -0.73549
C -3.38417 1.89061 1.03958
C 3.56217 -2.98725 -2.16406
C 3.21076 -3.35076 0.30419
C -0.38373 2.03487 -1.24683
C 3.59141 -3.18786 1.62408
C 5.59748 -2.09578 0.90963
C 2.61604 0.46132 -3.30955
C -2.21635 3.10237 -2.33600
C 4.78405 -2.55601 1.93040
C 0.63013 -0.66455 -2.56501
C -1.11856 -2.30683 1.33615
C -1.72682 -1.19415 1.88668
C -2.86394 -0.79718 -0.19237
C -3.16334 1.30721 4.07968
C -3.74993 1.03382 5.46380
C -2.50630 2.12400 -0.14907
H -5.21765 2.61131 5.34962
H -5.49632 1.45886 6.65669
H -4.04985 3.13269 -1.21753
H 5.08056 -2.42593 2.96072
H -3.97145 -0.50970 3.20400
H -0.90869 -3.54324 -0.39839
H -2.62689 3.63774 -3.17849
H -4.90976 0.96702 2.86637
H 6.53273 -1.60723 1.14112
H 0.97239 -2.69971 -1.96232
H 5.85621 -1.90004 -1.20212
H -3.55994 -0.21775 -0.78066
H -0.70543 1.25394 0.69085
H 4.42996 -3.04624 -2.82729
H 2.95585 -3.55553 2.41675
H 3.10062 1.43646 -3.26451
H -3.73451 -0.04144 5.65991
H 1.63978 -1.47027 -0.85039
H 3.67229 -0.24875 -1.58020
H -2.47010 -2.19572 -1.75387
H 2.28233 -3.85355 0.07202
H -0.43721 -2.89164 1.93513
H -3.10946 1.51368 6.20702
H -5.86685 1.01016 4.99551
H -3.21339 2.37569 3.86487
H -0.27548 -0.50153 -1.97696
H -1.51636 -0.91646 2.90758
H -0.23997 2.89798 -3.18336
H 4.41005 -0.72061 -3.13942
H -2.11053 1.01479 4.07313
H 0.35400 -0.97458 -3.57787
H 2.44586 0.17657 -4.35207
H 2.96043 -3.89024 -2.30382
```

This record from the OMol25 dataset describes C12H30N2O4Rb as an isolated structure in a non-equilibrium geometry. The level of theory is ωB97M-V/def2-TZVPD.

The frontier orbital gap (alpha / beta) comes out at 2.807 / 9.311 eV. Its expectation value of S² is 0.7503. As for the relative energy (zero: lowest compared OMol25 entry of this formula, charge and spin): 0.00 kcal/mol. As for the spin multiplicity: 2.

Structure (XYZ):
```
49
C12H30N2O4Rb ωB97M-V/def2-TZVPD
Rb 1.00199 -0.84289 -1.74389
O 0.83791 -1.03808 1.50946
O 1.67031 1.94706 -1.14385
O -1.53237 3.20450 2.52563
O -1.24073 -5.46971 -2.39750
N -1.30189 2.80985 -0.51216
└──

Description UNICAS@Graduate School Inter-disciplinary Sandpit Programme Funding Application
Amount £5,000 (GBP)
Organisation University of Nottingham 
Department University of Nottingham Interdisciplinary Centre for Analytical Science (UNICAS)
Sector Academic/University
Country United Kingdom
Start 03/2018 
End 06/2018